The current market price of the stock is Rs 14.74 on BSE. But in the unlisted space, where illiquid, delisted and rarest of rare stocks get traded unofficially at a premium, it trades at Rs 82,000-85,000, about 7,00,000 per cent premium to the CMP.
(Molecular data, as found in the file)
/*
Record 1
This record from the Open Molecules 2025 dataset describes C55H63BrCdGe2NO4S4 as an isolated structure at a distorted geometry. The level of theory is ωB97M-V/def2-TZVPD.

Structure (XYZ):
```
131
Properties=species:S:1:pos:R:3:forces:R:3:lowdin_charge:R:1
Cd 0.102500 0.232400 -0.719800 0.3 0.9 0.0 0.883
C 1.034600 9.155200 -3.047700 0.0 -0.1 0.0 -0.052
C -0.025100 8.100400 -3.182700 0.0 0.0 0.0 -0.274
C -0.884100 7.788200 -2.141800 0.0 0.0 -0.1 -0.031
C -1.871400 6.823700 -2.288600 0.0 0.0 -0.1 -0.251
C -2.807900 6.514400 -1.160400 0.1 0.0 0.0 -0.029
C -1.969100 6.122200 -3.490100 0.2 0.4 0.0 -0.172
C -1.102200 6.411100 -4.545500 0.0 -0.1 0.1 -0.197
C -1.164700 5.616700 -5.814500 0.0 0.0 -0.1 -0.027
C -0.158600 7.413000 -4.380000 -0.1 0.0 0.1 -0.020
C -3.097300 5.189900 -3.714000 -0.2 0.2 -0.1 -0.233
C -4.218600 5.739900 -4.332100 0.0 0.1 0.0 -0.040
C -5.324500 4.962800 -4.602400 -0.1 0.0 -0.1 -0.066
C -5.321500 3.632200 -4.234200 0.0 -0.1 0.0 -0.037
C -4.213300 3.065200 -3.610800 -0.3 0.0 0.0 -0.226
C -3.084800 3.847500 -3.358800 0.9 -0.3 0.5 -0.179
Ge -1.453000 3.016200 -2.493100 0.6 0.3 -0.3 0.069
S -2.052600 1.588300 -0.991100 0.2 -0.2 0.1 0.158
S 0.157100 4.289500 -1.430200 0.0 -0.6 -0.6 0.288
Ge 1.641700 2.952200 -2.581400 -0.5 0.4 -0.2 0.048
S 2.312100 1.133100 -1.613300 -0.3 -0.2 0.3 0.125
S 0.057200 2.399300 -4.144200 -0.1 0.3 0.7 0.247
C 3.312600 3.953000 -3.111000 -0.8 -0.5 0.1 -0.184
C 3.792600 4.002000 -4.414800 0.2 0.0 -0.1 -0.223
C 5.017200 4.610700 -4.678600 0.0 0.0 -0.1 -0.041
C 5.756400 5.182600 -3.663000 0.1 0.0 -0.1 -0.064
C 5.286600 5.121800 -2.365800 0.0 0.1 0.0 -0.033
C 4.076600 4.503800 -2.083500 0.2 0.1 0.0 -0.237
C 3.658500 4.392900 -0.668400 0.0 0.1 0.3 -0.175
C 2.832500 5.348600 -0.082200 0.1 0.0 0.0 -0.261
C 2.409700 6.585900 -0.819500 0.0 0.0 0.0 -0.062
C 2.425700 5.168000 1.234700 0.1 -0.1 0.1 -0.022
C 2.848800 4.081000 1.979600 0.0 0.1 0.0 -0.284
C 2.385600 3.875000 3.390100 0.0 0.0 0.0 -0.049
C 3.739700 3.184300 1.403500 0.0 0.0 -0.2 -0.015
C 4.161400 3.329800 0.093600 0.0 0.0 0.1 -0.243
C 5.177300 2.389900 -0.484800 0.0 0.0 -0.1 -0.066
C 3.045600 3.443500 -5.566400 -0.1 -0.1 -0.3 -0.169
C 2.360200 4.326000 -6.404800 0.0 0.0 0.1 -0.216
C 2.361600 5.792400 -6.091200 0.0 0.0 0.0 -0.031
C 1.679900 3.830000 -7.504500 0.0 0.0 0.0 -0.020
C 1.678700 2.475200 -7.800400 0.1 0.0 0.0 -0.273
C 0.912600 1.944800 -8.976500 0.0 0.0 0.1 -0.052
C 2.400000 1.618700 -6.982100 -0.1 0.1 0.0 -0.017
C 3.089100 2.081900 -5.869000 0.1 0.1 0.0 -0.230
C 3.873100 1.129900 -5.017100 -0.1 0.0 0.0 -0.032
C -4.309100 1.637600 -3.225600 -0.2 -0.5 0.0 -0.206
C -3.735700 0.640100 -4.013500 -0.1 0.1 0.0 -0.219
C -3.020400 0.973000 -5.290000 0.1 0.0 0.0 -0.038
C -3.824900 -0.682700 -3.598900 0.0 0.0 0.1 -0.019
C -4.486700 -1.037200 -2.435600 0.1 0.1 -0.1 -0.284
C -4.547100 -2.470800 -1.999400 -0.1 0.0 -0.1 -0.061
C -5.103200 -0.037500 -1.695400 0.0 0.1 -0.1 -0.037
C -5.024800 1.291500 -2.073900 -0.1 0.0 -0.1 -0.277
*/
(Back to the entry)
We are talking about a microcap company
. Prima facie, it looks like a dud penny stock, with no investor willing to take a punt on it. The scrip has changed hands only 33 times since October 2016. In 2021, it was last traded on January 28, with a single share being traded.
Data available from BSE showed the company had a total 1,90,150 shares in circulation. As of March quarter, promoters held 1,49,950 equity shares, or 74.98 per cent, stake in Elcid Investment, while 40,200 equity shares, or 25.02 per cent, stake was by public shareholders. The problem is, no one is selling.
**Records of molecules that have nothing to do with the piece**
<<<
Here is a structure of composition B3H12Sn from OMol25. Energies are from wB97M-V/def2-TZVPD.

Properties
Net charge = -1
Relative energy (zero: lowest compared OMol25 entry of this formula, charge and spin) = 233.08 kcal/mol
Kohn-Sham gap = 3.38 eV
LUMO = -2.602 eV
Strongest force on any atom = 5.16 eV/Å

CARTESIAN COORDINATES (ANGSTROEM)
Sn1 -1.3454 -0.1667 -2.0353
B1 -3.6863 1.1910 1.6775
H1 -2.8145 1.7695 1.4139
H2 -4.2261 1.8764 2.3123
H3 -4.1762 0.9868 0.7380
H4 -3.3693 0.3561 2.2830
B2 1.1411 -0.7795 1.9390
H5 1.4708 -0.8543 2.9637
H6 1.3128 0.2236 1.5806
H7 1.7201 -1.4941 1.3746
H8 0.0891 -1.0089 1.8696
B3 2.8097 -0.4227 -3.2453
H9 2.5219 0.5885 -3.0029
H10 3.8446 -0.4765 -3.5458
H11 2.5976 -0.9857 -2.3496
H12 2.1101 -0.8036 -3.9732
>>>
“It is a very thinly-traded stock and people only opt for off-market trade. Price of the share is directly linked to the share price of
,” said Sambhav Aggarwal of Arms Securities, a firm that deals in unlisted shares. “Usually, HNI investors fancy it. We get a lot of queries for the stock. But very few trades take place.”
Elcid Investment holds 2.95 per cent stake (2,83,13,860 equity shares) in Asian Paints, valued at over Rs 7,200 crore.
Some analysts assign an intrinsic value of over Rs 3.8-4 lakh to a single share of Elcid Investment. That would mean the current market price is at a three-fourth discount to its intrinsic value or book value.
Sunil Chandak of Gennext Investrade, another dealer in the unlisted market, finds nothing unusual about the hefty premium that Elcid commands. “It is a well-known fact that holding companies trade at huge discounts, and Elcid is not an exception,” he said.
“Elcid is highlighted more because of its extremely low price on the bourses,” Chandak said. “The vast spread of Rs 15,000-20,000 per share between buyer and seller price stalls frequent trades on the counter,” he said.
In FY20219-20, the firm reported Rs 73.18 crore profit on sales of Rs 77.52 crore. It generated net sales of Rs 49.01 crore and profit of Rs 36.79 crore during the quarter ended on December 31, 2020. Its March quarter earnings are still awaited.
On a consolidated basis, Elcid Investment has a book value over Rs 4,00,000 and brags an EPS of Rs 3,153.61 and cash earnings per share (CEPS) of Rs 3,162.31 on a trailing 12-month basis.
Data from BSE showed the diversified commercial services firm has a full market-cap of just Rs 0.29 crore, while the free-float market-cap stands at Rs 0.07 crore.
Vivek Bajaj, Founder of StockEdge, said Sebi and stock exchanges collectively have to look at this issue afresh and amend the current price discovery mechanism, so that trading in these shares can happen at the real value.
“It is a loss for everyone. Investors cannot realise the right price for the stock, and thus they have to rush to the unlisted space,” he said.